Exercise:
Print the whole of the material underneath without additions.
Excerpt:
The following is a DFT calculation (GGA+U) of crystalline NaBe2NiF8 at its relaxed geometry.

extended XYZ file:
```
12
Lattice="4.723 -0.228 -0.063 1.976 4.295 -0.063 0.215 0.131 6.997" Properties=species:S:1:pos:R:3 pbc="T T T"
F 2.866 3.276 1.327
F 4.228 1.032 1.327
F 2.686 3.166 5.543
F 5.126 3.112 0.208
F 4.906 2.979 2.812
F 1.789 1.086 6.663
F 2.009 1.220 4.059
F 4.049 0.923 5.543
Be 2.593 1.574 5.366
Be 4.322 2.624 1.505
Na 0.108 0.065 3.499
Ni 0.000 0.000 0.000
```

Crystal system: monoclinic
Electronic total energy, eV per atom: -4.830

* * * * *

Entry from Alexandria via LeMat-Bulk: an optimized crystal structure of CoH2Rh (PBE).

a b c (Å): 4.9283 4.9283 4.9283
angles (deg): 132.43 132.43 69.55
Atoms (fractional coordinates):
Co 0.0000 0.0000 0.0000
Co 0.7500 0.2500 0.5000
H 0.1023 0.6250 0.9773
H 0.3750 0.3523 0.4773
H 0.6477 0.1250 0.0227
H 0.8750 0.8977 0.5227
Rh 0.2500 0.7500 0.5000
Rh 0.5000 0.5000 0.0000

Values from the calculation:
- density of states at the Fermi level (states/eV/f.u.) = 3.22
- energy (eV per cell) = -41.60
Outcome:
The following is a DFT calculation (GGA+U) of crystalline NaBe2NiF8 at its relaxed geometry.

extended XYZ file:
```
12
Lattice="4.723 -0.228 -0.063 1.976 4.295 -0.063 0.215 0.131 6.997" Properties=species:S:1:pos:R:3 pbc="T T T"
F 2.866 3.276 1.327
F 4.228 1.032 1.327
F 2.686 3.166 5.543
F 5.126 3.112 0.208
F 4.906 2.979 2.812
F 1.789 1.086 6.663
F 2.009 1.220 4.059
F 4.049 0.923 5.543
Be 2.593 1.574 5.366
Be 4.322 2.624 1.505
Na 0.108 0.065 3.499
Ni 0.000 0.000 0.000
```

Crystal system: monoclinic
Electronic total energy, eV per atom: -4.830

* * * * *

Entry from Alexandria via LeMat-Bulk: an optimized crystal structure of CoH2Rh (PBE).

a b c (Å): 4.9283 4.9283 4.9283
angles (deg): 132.43 132.43 69.55
Atoms (fractional coordinates):
Co 0.0000 0.0000 0.0000
Co 0.7500 0.2500 0.5000
H 0.1023 0.6250 0.9773
H 0.3750 0.3523 0.4773
H 0.6477 0.1250 0.0227
H 0.8750 0.8977 0.5227
Rh 0.2500 0.7500 0.5000
Rh 0.5000 0.5000 0.0000

Values from the calculation:
- density of states at the Fermi level (states/eV/f.u.) = 3.22
- energy (eV per cell) = -41.60